What should be used instead of Microsoft Windows Common Controls 6.0 - excel

One of our users has an Excel VBA project that references Microsoft Windows Common Controls 6.0. The corresponding MSCOMCTL.OCX file is no longer in our image, and so of course the project won't run due to a missing reference.
Rather than installing Microsoft Visual Basic 6.0 Common Controls on our Windows 7 64-bit systems with Office 2016 64-bit, is there something different that the user can reference in their project that is more modern and supported?
Side question: If we do install it, will it even be able to work, with 64-bit Excel calling a 32-bit OCX?
Answer: I tried on a 64-bit Office installation, and the answer is No. You can install it, register it, and reference it, but you can't actually use any of the UI controls from it. They simply don't appear in the list.


Excel VBA "Could not load an object because it is not available on this machine" for a Microsoft Common Control TreeView

What comes next are data records, not part of the text.
┌──
1.
For Ac3Eu, a GGA-PBE-relaxed structure gives the calculated X-ray diffraction stick pattern in this record (Cu Ka).

Most intense lines, 2θ = 5–70°, by angle:
(hkl)	2θ (°)	I_rel
2 0 0	25.2	23
0 0 2	27.2	25
2 0 1	28.7	100
2 0 2	37.4	17
2 2 0	44.4	21
2 0 3	49.0	24
2 2 2	52.9	25
4 0 1	53.8	18
4 0 2	59.5	4
4 0 3	68.3	9

Atomic structure:
```
data_Ac3Eu
_chemical_formula_sum 'Ac6 Eu2'
_cell_length_a 8.1556
_cell_length_b 8.1556
_cell_length_c 6.5536
_cell_angle_alpha 90.00
_cell_angle_beta 90.00
_cell_angle_gamma 120.00
_space_group_name_H-M_alt 'P 1'
_space_group_IT_number 1
loop_
_space_group_symop_operation_xyz
'x,y,z'
loop_
_atom_site_label
_atom_site_type_symbol
_atom_site_fract_x
_atom_site_fract_y
_atom_site_fract_z
Ac1 Ac 0.1663 0.3325 0.2500
Ac2 Ac 0.1663 0.8337 0.2500
Ac3 Ac 0.3325 0.1663 0.7500
Ac4 Ac 0.6675 0.8337 0.2500
Ac5 Ac 0.8337 0.1663 0.7500
Ac6 Ac 0.8337 0.6675 0.7500
Eu1 Eu 0.3333 0.6667 0.7500
Eu2 Eu 0.6667 0.3333 0.2500
```

***

2.
For BiPO4, a GGA-PBE-relaxed structure gives the calculated X-ray diffraction stick pattern in this record (Cu Ka).

Most intense lines, 2θ = 5–70°, by angle:
(hkl)	2θ (°)	I_rel
0 0 1	18.5	39
1 0 0	18.6	41
0 1 1	22.2	44
1 1 0	22.3	40
0 2 0	24.4	100
1 0 -1	25.2	89
1 1 1	30.2	94
1 2 -1	35.4	48
0 1 2	39.6	39
2 1 0	39.8	40

Atomic structure:
```
data_BiPO4
_chemical_formula_sum 'Bi2 P2 O8'
_cell_length_a 4.7805
_cell_length_b 7.2831
_cell_length_c 4.8116
_cell_angle_alpha 90.00
_cell_angle_beta 94.90
_cell_angle_gamma 90.00
_space_group_name_H-M_alt 'P 1'
_space_group_IT_number 1
loop_
_space_group_symop_operation_xyz
'x,y,z'
loop_
_atom_site_label
_atom_site_type_symbol
_atom_site_fract_x
_atom_site_fract_y
_atom_site_fract_z
Bi1 Bi 0.1312 0.2500 0.1369
Bi2 Bi 0.8688 0.7500 0.8631
P1 P 0.3400 0.7500 0.3321
P2 P 0.6600 0.2500 0.6679
O1 O 0.1895 0.5851 0.1747
O2 O 0.1895 0.9149 0.1747
O3 O 0.2969 0.7500 0.6467
O4 O 0.3400 0.2500 0.6929
O5 O 0.6600 0.7500 0.3071
O6 O 0.7031 0.2500 0.3533
O7 O 0.8105 0.0851 0.8253
O8 O 0.8105 0.4149 0.8253
```

***

3.
For SmHf, a GGA-PBE-relaxed structure gives the calculated X-ray diffraction stick pattern in this record (Cu Ka).

Most intense lines, 2θ = 5–70°, by angle:
(hkl)	2θ (°)	I_rel
1 0 0	30.5	24
0 0 2	32.5	26
1 0 1	34.7	100
1 0 2	45.2	16
1 1 0	54.3	19
1 0 3	59.5	21
2 0 0	63.6	3
1 1 2	64.7	22
2 0 1	66.1	16
0 0 4	68.1	3

Atomic structure:
```
data_SmHf
_chemical_formula_sum 'Sm1 Hf1'
_cell_length_a 3.3802
_cell_length_b 3.3802
_cell_length_c 5.5038
_cell_angle_alpha 90.00
_cell_angle_beta 90.00
_cell_angle_gamma 120.00
_space_group_name_H-M_alt 'P 1'
_space_group_IT_number 1
loop_
_space_group_symop_operation_xyz
'x,y,z'
loop_
_atom_site_label
_atom_site_type_symbol
_atom_site_fract_x
_atom_site_fract_y
_atom_site_fract_z
Sm1 Sm 0.0000 0.0000 0.0000
Hf1 Hf 0.3333 0.6667 0.5000
```

***

What did the second record say?
For BiPO4, a GGA-PBE-relaxed structure gives the calculated X-ray diffraction stick pattern in this record (Cu Ka).
└──

I have an Excel add-in on a VM that uses the "Microsoft TreeView Control, version 6.0" as a part of Microsoft Windows Common Controls 6.0 (SP6), located at C:\Windows\system32\MSCOMCTL.ocx. The properties window on forms that use the TreeView control show the control as [TreeView control name] TreeView3. Everything works great, and I don't receive any errors.
I also have copies of the working VM with the same Excel add-in, but I receive a Microsoft Forms error that reads "Could not load an object because it is not available on this machine." when I open Excel and the add-in loads.
I am able to re-create the forms, using the same "Microsoft TreeView Control, version 6.0" (same file location and reference), but this TreeView control appears as [TreeView control name] TreeView2 and the error no longer appears.
Instead of re-creating all the forms that use the TreeView2 control, how can I prevent the issue from happening in the first place? The machines are obviously not exact copies. With the exception of .NET v4 installed on the working machine, I don't know what has changed that corrected the issue. It is my understanding that the Windows Common Controls should not be impacted by simply installing .NET v4 on the machines that have the error.
Installed the following and it did not work:
Also took a shot and installed .NET v4, and still no luck.
Specifications on working machine:
Windows 7 Professional SP1
Excel 2010, Version: 14.0.7162.5000 (32-bit)
Computer\HKLM\SOFTWARE\Microsoft\NET Framework Setup\NDP and it has v2.0.50727, v3.0, v3.5, and v4
Specifications on machines with the issue:
Windows 7 Professional SP1
Excel 2010, Version: 14.0.7162.5000 (32-bit)
Computer\HKLM\SOFTWARE\Microsoft\NET Framework Setup\NDP and it has v2.0.50727, v3.0, v3.5
EDIT #2: failed to mention that the machine with the issue is a 64-bit OS
Information from Registry for versions of TreeView controls on Working machine and Non-Working machine
Working Machine
Computer\HKEY_CLASSES_ROOT\MSComctlLib.TreeCtrl\CurVer - MSComctlLib.TreeCtrl.2
Computer\HKEY_CLASSES_ROOT\CLSID{C74190B6-8589-11D1-B16A-00C0F0283628}\Version - 2.1
Windows 7 Professional SP1 32-bit
Non-Working Machine
Computer\HKEY_CLASSES_ROOT\MSComctlLib.TreeCtrl\CurVer - MSComctlLib.TreeCtrl.2
Computer\HKEY_CLASSES_ROOT\Wow6432Node\CLSID{C74190B6-8589-11D1-B16A-00C0F0283628}\Version - 2.0
Windows 7 Professional SP1 64-bit

VB6 Outlook Add-in works in Outlook 2013 but only if full Office is installed?

Inserted here: crystal structures:
~~~
No. 1
The following is a simulated XRD peak list of LuIO9. It was derived from DFT lattice parameters and positions (PBE), using Cu Kα.
Peak positions follow from Bragg's law for the DFT cell and can differ from measured ones.

Structural model:
a = 7.2584 Å, b = 10.7871 Å, c = 10.4899 Å
α = 90.00°, β = 123.64°, γ = 90.00°
Sites, in units of the cell vectors:
1 Lu 0.1747 0.0911 0.1804
2 Lu 0.1747 0.4089 0.6804
3 Lu 0.8253 0.5911 0.3196
4 Lu 0.8253 0.9089 0.8196
5 I 0.0264 0.6849 0.7339
6 I 0.0264 0.8151 0.2339
7 I 0.9736 0.1849 0.7661
8 I 0.9736 0.3151 0.2661
9 O 0.0752 0.0723 0.9386
10 O 0.0752 0.4277 0.4386
11 O 0.0883 0.7289 0.4067
12 O 0.0883 0.7711 0.9067
13 O 0.1673 0.0554 0.6788
14 O 0.1673 0.4446 0.1788
15 O 0.1931 0.7130 0.1909
16 O 0.1931 0.7870 0.6909
17 O 0.2126 0.5541 0.8442
18 O 0.2126 0.9459 0.3442
19 O 0.2414 0.2288 0.3719
20 O 0.2414 0.2712 0.8719
21 O 0.3845 0.0458 0.7668
22 O 0.3845 0.4542 0.2668
23 O 0.4626 0.5300 0.2099
24 O 0.4626 0.9700 0.7099
25 O 0.4734 0.2265 0.1957
26 O 0.4734 0.2735 0.6957
27 O 0.5266 0.7265 0.3043
28 O 0.5266 0.7735 0.8043
29 O 0.5374 0.0300 0.2901
30 O 0.5374 0.4700 0.7901
31 O 0.6155 0.5458 0.7332
32 O 0.6155 0.9542 0.2332
33 O 0.7586 0.7288 0.1281
34 O 0.7586 0.7712 0.6281
35 O 0.7874 0.0541 0.6558
36 O 0.7874 0.4459 0.1558
37 O 0.8069 0.2130 0.3091
38 O 0.8069 0.2870 0.8091
39 O 0.8327 0.5554 0.8212
40 O 0.8327 0.9446 0.3212
41 O 0.9117 0.2289 0.0933
42 O 0.9117 0.2711 0.5933
43 O 0.9248 0.5723 0.5614
44 O 0.9248 0.9277 0.0614

Main lines, low angle first (2θ from 5° to 70°):
14.66°, I 100.0, (1 0 0); 14.85°, I 99.5, (1 1 -1); 20.34°, I 96.7, (0 0 2); 28.89°, I 28.4, (1 3 0); 30.32°, I 66.1, (2 2 -1); 30.55°, I 31.1, (1 2 -3); 33.03°, I 26.0, (2 2 -3); 40.23°, I 24.5, (1 4 1)


No. 2
The following is a simulated XRD peak list of LuIO. It was derived from DFT lattice parameters and positions (PBE), using Cu Kα.
Peak positions follow from Bragg's law for the DFT cell and can differ from measured ones.

Structural model:
a = 3.8602 Å, b = 3.8602 Å, c = 9.8942 Å
α = 90.00°, β = 90.00°, γ = 90.00°
Sites, in units of the cell vectors:
1 Lu 0.2500 0.2500 0.1066
2 Lu 0.7500 0.7500 0.8934
3 I 0.2500 0.2500 0.6986
4 I 0.7500 0.7500 0.3014
5 O 0.2500 0.7500 0.0000
6 O 0.7500 0.2500 0.0000

Main lines, low angle first (2θ from 5° to 70°):
8.94°, I 81.2, (0 0 1); 29.35°, I 100.0, (1 0 2); 32.81°, I 49.7, (1 1 0); 35.81°, I 51.5, (1 0 3); 47.08°, I 22.5, (2 0 0); 56.46°, I 31.9, (2 1 2); 57.53°, I 23.9, (1 1 5); 60.54°, I 22.5, (2 1 3)


No. 3
The following is a simulated XRD peak list of MgI2. It was derived from DFT lattice parameters and positions (PBE), using Cu Kα.
Peak positions follow from Bragg's law for the DFT cell and can differ from measured ones.

Structural model:
a = 4.2095 Å, b = 4.2095 Å, c = 7.7313 Å
α = 90.00°, β = 90.00°, γ = 120.00°
Sites, in units of the cell vectors:
1 Mg 0.0000 0.0000 0.0000
2 I 0.3333 0.6667 0.7835
3 I 0.6667 0.3333 0.2165
~~~

I have a VB6 Outlook add-in. This is tested and working on a Windows 7 64bit machine, with 32bit OFFICE installed.
On another PC, Windows 7 64bit, 32bit OUTLOOK install, the add-in does not load. It is not listed in the list of COM add-ins, and when I try to add it to that list manually, it does not appear!
I assume that there is some dependancy with some office DLLs causing the issue but I don't know how to troubleshoot to find out where the issue lies.
Can anyone give me any tips??
Thanks in advance!
I got exactly the same problem until I realized the problem was coming from C:\Program Files (x86)\Common Files\DESIGNER\MSADDNDR.DLL, that is brought by Office 2013 Pro with a file modified in 2010, and not with the family version. Check out http://blogs.msdn.com/b/vsod/archive/2012/11/21/vb6-based-add-ins-may-fail-to-work-on-office-2013.aspx and http://support.microsoft.com/kb/2792179 that mention this issue. Another important thing to note that that the Family edition looks to be a ClickToRun version (simili AppV virtualized application and Professional version is a fully installed version).

64- bit Microsoft Excel 2010 Addin loading error

I developed a 64-bit Addin.
For testing I added it on a laptop (64-bit machine with 64-Windows7 Enterprise and 64-bit Office 2010) [other than the one i developed the Addin on], its works fines i can call n use its functions. but when i add the same addin on a desktop machine (64-bit machine with 64-Windows7 Enterprise and 64-bit Office 2010), its functions are not available and no error message displayed as well. But when i re-launch Microsoft Excel 2010 a message appears.
Message text : "The file you are trying to open, 'MyAddin.xll', is in a different format than specified by the file extension. Verify that the file is not corrupted and is in from a trusted source before opening the file. Do you want to open the file now?"
As per the message text i verified that the location for xll is included in "trusted location". Yet the issue not resolved.
Whats your opnion in this regard,
Thanks & Regards,
Check that you have compiled it Release and not Debug (if you've done the latter it will only work on machines with the debug versions of included DLLs, which usually means machines with Visual Studio installed).

=====
For La3MgSb4, the GGA-PBE geometry in Alexandria gives the computed powder XRD pattern in this record (Cu Kα).
No peak broadening, texture or thermal motion is included.

Structural model:
Lattice parameters (Å, degrees): 6.4780 6.4780 6.4780 90.00 90.00 90.00
Fractional coordinates of all 8 atoms:
La1 0.0000 0.0000 0.5000
La2 0.0000 0.5000 0.0000
La3 0.5000 0.0000 0.0000
Mg1 0.5000 0.5000 0.5000
Sb1 0.0000 0.0000 0.0000
Sb2 0.0000 0.5000 0.5000
Sb3 0.5000 0.0000 0.5000
Sb4 0.5000 0.5000 0.0000

Most intense lines, 10° ≤ 2θ ≤ 90°, low angle first:
- 27.54 deg, I = 100
- 39.34 deg, I = 77
- 48.69 deg, I = 28
- 56.85 deg, I = 13
- 64.31 deg, I = 35
- 71.32 deg, I = 26



For Li3Pd2, the GGA-PBE geometry in Alexandria gives the computed powder XRD pattern in this record (Cu Kα).
No peak broadening, texture or thermal motion is included.

Structural model:
Lattice parameters (Å, degrees): 4.4795 4.4795 4.4795 67.77 67.77 67.77
Fractional coordinates of all 5 atoms:
Li1 0.0000 0.5000 0.5000
Li2 0.5000 0.0000 0.5000
Li3 0.5000 0.5000 0.0000
Pd1 0.1302 0.1302 0.1302
Pd2 0.8698 0.8698 0.8698

Most intense lines, 10° ≤ 2θ ≤ 90°, low angle first:
- 22.30 deg, I = 100
- 25.99 deg, I = 26
- 35.96 deg, I = 63
- 40.83 deg, I = 48
- 42.72 deg, I = 23
- 44.91 deg, I = 44



For Tb2Pr5ErSc, the GGA-PBE geometry in Alexandria gives the computed powder XRD pattern in this record (Cu Kα).
No peak broadening, texture or thermal motion is included.

Structural model:
Lattice parameters (Å, degrees): 11.3249 11.3249 10.3057 90.00 90.00 152.33
Fractional coordinates of all 18 atoms:
Tb1 0.1150 0.8850 0.5000
Tb2 0.1152 0.8848 0.9946
Tb3 0.8850 0.1150 0.0000
Tb4 0.8848 0.1152 0.4946
Pr1 0.0000 0.0000 0.2474
Pr2 0.0000 0.0000 0.7474
Pr3 0.2784 0.7216 0.0590
Pr4 0.2781 0.7219 0.4347
Pr5 0.3722 0.6278 0.7472
Pr6 0.4999 0.5001 0.4974
Pr7 0.5001 0.4999 0.9974
Pr8 0.6278 0.3722 0.2472
Pr9 0.7216 0.2784 0.5590
Pr10 0.7219 0.2781 0.9347
Er1 0.3980 0.6020 0.2473
Er2 0.6020 0.3980 0.7473
Sc1 0.2110 0.7890 0.7469
Sc2 0.7890 0.2110 0.2469

Most intense lines, 10° ≤ 2θ ≤ 90°, low angle first:
- 26.80 deg, I = 35
- 31.43 deg, I = 100
- 32.57 deg, I = 14
- 33.08 deg, I = 32
- 34.82 deg, I = 17
- 58.06 deg, I = 17

----------

Record 1
Ac6Si2BiCl3: simulated XRD peak list (Cu Kα), based on the GGA-PBE geometry in Alexandria.
No peak broadening, texture or thermal motion is included.

Largest 10 diffraction maxima, by angle, 2θ = 15–90°:
d [Å]  I_rel
3.814  14
3.747  30
3.557  13
3.215  100
2.337  25
2.305  14
2.242  11
2.215  25
1.874  14
1.608  12

Structure:
```
data_Ac6Si2BiCl3
_chemical_formula_sum 'Ac12 Si4 Bi2 Cl6'
_cell_length_a 19.538
_cell_length_b 4.610
_cell_length_c 8.995
_cell_angle_alpha 90.00
_cell_angle_beta 99.01
_cell_angle_gamma 90.00
_symmetry_space_group_name_H-M 'C 1 2/m 1'
_symmetry_Int_Tables_number 12
loop_
_symmetry_equiv_pos_as_xyz
'x,y,z'
'-x,-y,-z'
'-x,y,-z'
'x,-y,z'
'x+1/2,y+1/2,z'
'-x+1/2,-y+1/2,-z'
'-x+1/2,y+1/2,-z'
'x+1/2,-y+1/2,z'
loop_
_atom_site_label
=====

Is a COMException of 0x80040154 always 'Class not registered'?

Does a System.Runtime.InteropServices.COMException of 0x80040154 always mean that the class isn't registered? I'm getting a COMException which says "Retrieving the COM class factory for component with CLSID {29131539-2EED-1069-BF5D-00DD011186B7} failed due to the following error: 80040154." It's trying to load Interop.Domino.dll which is a reference I got from the COM tab of Add Reference called "Lotus Domino Objects" which points to domobj.tlb in the Notes program folder.
I wrote the code years ago - it's the only thing I've ever done with interop and it's fair to say that I never really got to grips with it.
I'm seeing this error again after moving the code to a 2008 R2 server (so it's x64). It was written on XP and run on 2003 (both x86). In order to diagnose the problem, I built a Win7 x86 (because there's no R2 x86) box and it worked. I also built a 2003 x64 box and it fails with the same error, so it looks like it's caused by moving to x64 architecture. Is there something I should do when doing interop to get x86 COM DLLs to work on x64 machines?
I had the same problem trying to build and run a .NET application on Windows 7 x64 that called interop.domino.dll, which is 32 bit only.
To resolve, I recompiled the .NET application to run specifically as x86 when run on x64 operating systems.
I was using Visual Studio 2010 Express Edition which is trickier to target specifically for x86 platforms than the paid for versions.
The solution was:
Check the box "Show advanced build configurations" and click OK
Click TOOLS > SETTINGS > check EXPERT SETTINGS to see the build configuration manager
Click BUILD > CONFIGURATION MANAGER select the platform dropdown to X86 and click CLOSE
Now rebuild the project
Pay attention to register of 32-bit components using the correct register (C:\Windows\SysWOW64\regsvr32.exe).
If you have already registered up with the 64-bit version, unregister each dll with the same version.
More help you find here Team is Going from XP32 to XP64 for .NET Development - Any Gotchas?
Good luck
There's an IBM technote that indicates that the Domino COM classes are not supported on a 64-bit OS. See https://www-304.ibm.com/support/docview.wss?uid=swg21454291 So it seems like even by compiling the code to run as x86 (as per mpownie's answer), you're still taking some chances.

SSIS 2008 and Excel Interop assemblies

Have an SSIS 2008 package that runs just fine on my local dev machine with Office 2007 installed. It has a script task with interop.excel as a reference. (I'm reformatting some excel sheets with it)
So everything works like a champ until I install and run it on my test SQL 2008 (Server 2008 64bit) server. I install to SSIS, execute it via a SQL Server Job, it runs though most of the steps but then throws an exception when it gets to the script task that needs the excel interop assembly.
I've installed the 2007 PIA and have execution marked as 32bit as well. At this point I'm just kind of lost. Any help is appreciated.
This script task - Is it a .NET script task or a 32-bit script task?
I'm guessing from the interop.excel reference, that its a .NET script task calling out to an old 32-bit library? Can you confirm?
If there is a 32-bit component that you are running on your Win64 environment then you need to be careful about what you are using to register it. By default, regsvr32 is the 64-bit version, so you need to use the regsvr32.exe under c:\windows\systemWOW64 (or something similar). This will ensure the dll is registered in the 32-bit hive of the registry, and available to the WOW (windows-on-windows) emulation environment.
SpreadsheetGear for .NET is an Excel compatible spreadsheet component for 32 bit and 64 bit .NET, and has an API which is similar to Excel's COM API.
You can see some live ASP.NET samples here and download the free trial here.
Disclaimer: I own SpreadsheetGear LLC
I installed Office 2007 on the server I was using. That fixed one problem. Then I discovered another problem that was alleviated by this SO Link
